Landowner responsibilities for weed control

Under the Catchment and Land Protection Act 1994, as a private landowner you have a legal responsibility to control weeds on your property. You must take reasonable steps to remove regionally prohibited weeds and to prevent the growth and spread of regionally controlled weeds on any land owned by you. 

Transporting weeds

It is illegal to transport noxious weed material without first taking precautions to ensure the vehicle and equipment is free from noxious weed seed and any other part of a noxious weed that is capable of growing.

Disposing of weeds

Ensure that you contact the Council’s transfer stations prior to arriving if you are planning to dispose of noxious weeds, as some green waste may not be accepted. Depending on fire and other restrictions, you may be permitted to burn off noxious weeds on your property. 

Weeds on neighbouring properties

Have a friendly chat with your neighbour about how you can work together to control weeds. If neighbourly negotiation is not possible, the Victorian Department of Jobs, Precincts and Regions has the authority to enforce weed control legislation. Call 136 186 for advice.

Please note, local government has no enforcement powers with respect to noxious weed control on private property.

Weeds on roadsides

Management of weeds (control and prevention) is a shared responsibility – that requires cooperation between all roadside users, roadside managers and adjoining land managers. 

Roadsides are high risk – due to their exposure to adjoining land use practices and infestation from passing road transport and construction vehicles.

Landowners are encouraged to carry out isolated pest plant control measures with the use of chemical application using rope-wick and spot spraying, and does not require works within a road reserve permit on Council managed roads and is the preferred method when controlling weeds on roadsides. 

Use of boom spray is only permitted after seeking advice from Department of Energy, Environment and Climate Action (DEECA) and obtaining any statutory approvals that may be required. 

Council implements an annual roadside weed control program that is funded by the State Government. This funding allows Council to actively manage noxious weeds on Council roadsides.

To report a weed problem on your roadside, contact Customer Service on (03) 5494 1200.

Help and advice

Agriculture Victoria provides a range of online resources on weed management. For enquiries, contact 136 186.

The piece is interrupted by materials data >
# P4PtBrO10, optimized geometry, DFT PBE
data_P4PtBrO10
_cell_length_a 15.294
_cell_length_b 17.484
_cell_length_c 22.273
_cell_angle_alpha 90.00
_cell_angle_beta 129.10
_cell_angle_gamma 90.00
_space_group_name_H-M_alt 'P 1 21/c 1'
_space_group_IT_number 14
_space_group_name_Hall '-P 2ybc'
loop_
_atom_site_label
_atom_site_type_symbol
_atom_site_fract_x
_atom_site_fract_y
_atom_site_fract_z
P1 P 0.023 0.193 0.081
P2 P 0.118 0.561 0.442
P3 P 0.129 0.612 0.654
P4 P 0.312 0.506 0.690
Pt1 Pt 0.029 0.033 0.963
Br1 Br 0.170 0.126 0.034
O1 O 0.004 0.239 0.537
O2 O 0.021 0.536 0.360
O3 O 0.073 0.617 0.689
O4 O 0.091 0.641 0.466
O5 O 0.118 0.162 0.157
O6 O 0.153 0.670 0.618
O7 O 0.209 0.536 0.687
O8 O 0.240 0.548 0.491
O9 O 0.347 0.560 0.658
O10 O 0.348 0.070 0.225
# Formation energy in meV per atom: -1646.8
# Total magnetic moment in Bohr magnetons per cell: 3.48
# E in eV per atom: -6.14



# Sr5P3BrO12, optimized geometry, DFT PBE
data_Sr5P3BrO12
_cell_length_a 10.1235
_cell_length_b 10.1235
_cell_length_c 7.2631
_cell_angle_alpha 90.00
_cell_angle_beta 90.00
_cell_angle_gamma 120.00
_space_group_name_H-M_alt 'P 63/m'
_space_group_IT_number 176
_space_group_name_Hall '-P 6c'
loop_
_atom_site_label
_atom_site_type_symbol
_atom_site_fract_x
_atom_site_fract_y
_atom_site_fract_z
Sr1 Sr 0.0027 0.2614 0.2500
Sr2 Sr 0.3333 0.6667 0.0014
P1 P 0.0353 0.4081 0.7500
Br1 Br 0.0000 0.0000 0.0000
O1 O 0.0885 0.3577 0.5762
O2 O 0.1231 0.5869 0.7500
O3 O 0.1407 0.6574 0.2500
# Formation energy in meV per atom: -3269.9
# Total magnetic moment in Bohr magnetons per cell: 0.00
# E in eV per atom: -6.96



# PbBrO, optimized geometry, DFT PBE
data_PbBrO
_cell_length_a 7.173
_cell_length_b 3.967
_cell_length_c 9.785
_cell_angle_alpha 90.00
_cell_angle_beta 90.00
_cell_angle_gamma 90.00
_space_group_name_H-M_alt 'P n m a'
_space_group_IT_number 62
_space_group_name_Hall '-P 2ac 2n'
loop_
_atom_site_label
_atom_site_type_symbol
_atom_site_fract_x
_atom_site_fract_y
_atom_site_fract_z
Pb1 Pb 0.185 0.250 0.071
Br1 Br 0.039 0.750 0.326
O1 O 0.124 0.750 0.969
# Formation energy in meV per atom: -875.9
# Total magnetic moment in Bohr magnetons per cell: 0.00
# E in eV per atom: -4.08



# Pb13Br6O10, optimized geometry, DFT PBE
data_Pb13Br6O10
_cell_length_a 16.795
_cell_length_b 7.373
_cell_length_c 24.509
_cell_angle_alpha 90.00
_cell_angle_beta 98.74
_cell_angle_gamma 90.00
_space_group_name_H-M_alt 'C 1 2/c 1'
_space_group_IT_number 15
_space_group_name_Hall '-C 2yc'
loop_
_atom_site_label
_atom_site_type_symbol
_atom_site_fract_x
_atom_site_fract_y
_atom_site_fract_z
Pb1 Pb 0.000 0.223 0.250
Pb2 Pb 0.049 0.237 0.012
Pb3 Pb 0.084 0.073 0.633
Pb4 Pb 0.104 0.214 0.792
Pb5 Pb 0.133 0.076 0.417
Pb6 Pb 0.177 0.434 0.151
Pb7 Pb 0.235 0.395 0.939
Br1 Br 0.030 0.476 0.867
Br2 Br 0.160 0.340 0.540
Br3 Br 0.188 0.182 0.253
O1 O 0.009 0.006 0.941
O2 O 0.025 0.004 0.317
O3 O 0.142 0.188 0.099
O4 O 0.171 0.154 0.981
O5 O 0.195 0.146 0.864
# Formation energy in meV per atom: -1360.5
Back to the piece >

Landcare Australia is a community-based initiative that aims to improve biodiversity and regenerate farmland by undertaking weed removal and control projects on public and private land. Your local Landcare or Friends group may be able to assist you with practical weed control measures and advice.